These Are The Reasons Why It’s Dangerous to Add a Luggage Tag to Your Luggage

When it comes to traveling, ensuring that your luggage arrives safely at your destination is a top priority. Many travelers opt to attach luggage tags to their bags, believing it aids in identification and retrieval in case of loss. However, what may seem like a harmless practice can potentially expose you to various security risks and threats to your personal information.

The Risks of Luggage Tags

== Unrelated to this piece: crystal structures ==
- - -
Entry A
## Fe2C2O7 (PBE+U)

Data for Fe2C2O7 after structural relaxation.

a b c (Å): 4.963 4.963 16.013
angles (deg): 90.31 90.31 120.13
Atoms (fractional coordinates):
Fe 0.163 0.835 0.864
Fe 0.165 0.837 0.636
Fe 0.835 0.163 0.364
Fe 0.837 0.165 0.136
C 0.168 0.832 0.096
C 0.168 0.832 0.404
C 0.832 0.168 0.596
C 0.832 0.168 0.904
O 0.086 0.156 0.594
O 0.087 0.434 0.902
O 0.156 0.086 0.094
O 0.156 0.568 0.405
O 0.163 0.837 0.750
O 0.432 0.844 0.095
O 0.434 0.087 0.402
O 0.566 0.913 0.598
O 0.568 0.156 0.905
O 0.837 0.163 0.250
O 0.844 0.432 0.595
O 0.844 0.914 0.906
O 0.913 0.566 0.098
O 0.914 0.844 0.406

***

Entry B
## Fe2C2O7 (PBE+U)

Data for Fe2C2O7 after structural relaxation.

a b c (Å): 4.953 4.961 16.013
angles (deg): 89.70 89.38 60.10
Atoms (fractional coordinates):
Fe 0.164 0.171 0.136
Fe 0.166 0.171 0.364
Fe 0.834 0.829 0.636
Fe 0.836 0.829 0.864
C 0.167 0.165 0.904
C 0.168 0.165 0.596
C 0.832 0.835 0.404
C 0.833 0.835 0.096
O 0.087 0.569 0.406
O 0.088 0.846 0.098
O 0.156 0.431 0.906
O 0.156 0.911 0.596
O 0.164 0.175 0.250
O 0.433 0.911 0.905
O 0.434 0.154 0.597
O 0.566 0.846 0.403
O 0.567 0.089 0.095
O 0.836 0.825 0.750
O 0.844 0.089 0.404
O 0.844 0.569 0.094
O 0.912 0.154 0.902
O 0.913 0.431 0.594

***

Most stable to least stable, the ends of the list are entry B and entry A.

***

Entry A
## CaMo2O4 (PBE+U)

Data for CaMo2O4 after structural relaxation.

a b c (Å): 6.506 6.506 6.506
angles (deg): 121.31 118.38 90.28
Atoms (fractional coordinates):
Ca 0.000 0.000 0.000
Ca 0.500 0.000 0.500
Mo 0.000 0.000 0.500
Mo 0.000 0.500 0.000
Mo 0.390 0.640 0.750
Mo 0.610 0.360 0.250
O 0.217 0.744 0.473
O 0.229 0.256 0.973
O 0.236 0.239 0.503
O 0.236 0.733 0.997
O 0.764 0.267 0.003
O 0.764 0.761 0.497
O 0.771 0.744 0.027
O 0.783 0.256 0.527

***

Entry B
## CaMo2O4 (PBE+U)

Data for CaMo2O4 after structural relaxation.

a b c (Å): 6.443 6.537 16.139
angles (deg): 91.25 91.86 119.35
Atoms (fractional coordinates):
Ca 0.000 0.000 0.000
Ca 0.000 0.494 0.878
Ca 0.001 0.482 0.501
Ca 0.348 0.638 0.333
Ca 0.646 0.312 0.665
Ca 0.669 0.816 0.163
Mo 0.009 0.511 0.129
Mo 0.139 0.800 0.668
Mo 0.148 0.310 0.669
Mo 0.323 0.148 0.837
Mo 0.332 0.119 0.204
Mo 0.358 0.131 0.461
Mo 0.499 0.489 0.998
Mo 0.501 0.995 0.000
Mo 0.644 0.831 0.533
Mo 0.645 0.809 0.789
Mo 0.844 0.648 0.330
Mo 0.855 0.156 0.333
O 0.006 0.491 0.739
O 0.010 0.978 0.258
O 0.157 0.790 0.413
O 0.177 0.317 0.416
O 0.190 0.308 0.917
O 0.197 0.869 0.916
O 0.277 0.114 0.597
O 0.315 0.637 0.607
O 0.344 0.671 0.064
O 0.367 0.181 0.078
O 0.468 0.465 0.760
O 0.468 0.973 0.756
O 0.523 0.988 0.256
O 0.531 0.495 0.245
O 0.623 0.297 0.923
O 0.634 0.804 0.915
O 0.690 0.328 0.399
O 0.717 0.842 0.404
O 0.819 0.150 0.083
O 0.822 0.641 0.589
O 0.832 0.662 0.068
O 0.838 0.165 0.591
O 0.980 0.455 0.257
O 0.987 0.980 0.752

***

Most stable to least stable, the ends of the list are entry B and entry A.

***

Entry A
## YMg6VO8 (PBE+U)

Data for YMg6VO8 after structural relaxation.
- - -

Personal Information Exposure

This record from the Materials Project describes K2Mn3H6S3O16 after structural relaxation. The functional is PBE with a Hubbard U.

Output
E in eV/atom: -6.07
V in Å³ per atom: 12.23

a b c (Å): 18.331 7.899 10.133
angles (deg): 90.00 90.00 90.00
Space group Cmc2_1 (No. 36)
Inequivalent atoms, fractional coordinates:
K 0.193 0.045 0.000
Mn 0.000 0.192 0.735
Mn 0.088 0.470 0.454
H 0.000 0.200 0.487
H 0.000 0.482 0.240
H 0.095 0.179 0.298
H 0.174 0.255 0.294
S 0.000 0.183 0.063
S 0.177 0.301 0.724
O 0.000 0.069 0.945
O 0.000 0.081 0.187
O 0.000 0.307 0.537
O 0.000 0.448 0.819
O 0.067 0.291 0.063
O 0.121 0.163 0.727
O 0.132 0.232 0.354
O 0.161 0.423 0.616
O 0.179 0.389 0.855
O 0.250 0.224 0.698

This record from the Materials Project describes K2Mn3H10S4O21 after structural relaxation. The functional is PBE with a Hubbard U.

Output
E in eV/atom: -5.91
V in Å³ per atom: 11.75

a b c (Å): 19.404 9.941 10.035
angles (deg): 90.00 103.74 90.00
Space group P2_1/c (No. 14)
Inequivalent atoms, fractional coordinates:
K 0.119 0.149 0.363
K 0.261 0.010 0.790
Mn 0.057 0.714 0.941
Mn 0.320 0.656 0.696
Mn 0.338 0.133 0.467
H 0.022 0.136 0.916
H 0.083 0.173 0.048
H 0.126 0.646 0.680
H 0.146 0.574 0.555
H 0.386 0.652 0.479
H 0.411 0.175 0.895
H 0.419 0.535 0.579
H 0.419 0.577 0.931
H 0.430 0.016 0.305
H 0.474 0.240 0.477
S 0.066 0.524 0.222
S 0.231 0.642 0.945
S 0.249 0.159 0.131
S 0.437 0.586 0.199
O 0.008 0.081 0.708
O 0.035 0.198 0.993
O 0.036 0.652 0.265
O 0.084 0.547 0.087
O 0.108 0.624 0.583
O 0.128 0.022 0.826
O 0.155 0.656 0.872
O 0.178 0.213 0.134
O 0.244 0.699 0.085
O 0.246 0.008 0.130
O 0.248 0.005 0.455
O 0.270 0.205 0.004
O 0.276 0.714 0.867
O 0.304 0.208 0.252
O 0.374 0.581 0.538
O 0.391 0.036 0.659
O 0.393 0.521 0.850
O 0.399 0.682 0.273
O 0.426 0.227 0.980
O 0.449 0.653 0.072
O 0.494 0.046 0.211

This record from the Materials Project describes K2Mn3V2H2O10 after structural relaxation. The functional is PBE with a Hubbard U.

Output
E in eV/atom: -6.83
V in Å³ per atom: 13.33

a b c (Å): 15.330 6.260 10.939
angles (deg): 90.00 105.22 90.00
Space group C2 (No. 5)
Inequivalent atoms, fractional coordinates:
K 0.237 0.000 0.399
K 0.237 0.000 0.899
Mn 0.000 0.262 0.000
Mn 0.000 0.266 0.500
Mn 0.000 0.736 0.500
Mn 0.000 0.738 0.000
Mn 0.000 0.999 0.250
V 0.121 0.500 0.295
V 0.121 0.500 0.796
H 0.139 0.000 0.129
H 0.139 0.000 0.629
O 0.072 0.000 0.609
O 0.073 0.000 0.109
O 0.084 0.500 0.127
O 0.084 0.500 0.627
O 0.085 0.267 0.361
O 0.085 0.268 0.861
O 0.085 0.732 0.361
O 0.085 0.732 0.861
O 0.237 0.500 0.339
O 0.237 0.500 0.840

This record from the Materials Project describes K5Te2Mo6H18NO36 after structural relaxation. The functional is PBE with a Hubbard U.

Output
E in eV/atom: -5.67
V in Å³ per atom: 13.82

a b c (Å): 19.291 10.211 21.090
angles (deg): 90.00 115.23 90.00
Space group Cc (No. 9)
Inequivalent atoms, fractional coordinates:
K 0.000 0.045 0.000
K 0.046 0.401 0.759
K 0.075 0.265 0.163
K 0.316 0.248 0.934
K 0.335 0.099 0.316
Back to the piece >

Luggage tags are commonly used by travelers to facilitate the identification and retrieval of their luggage in case of loss or misplacement. These tags often include essential personal information such as the traveler’s name, address, and contact details. However, while the intention behind attaching luggage tags is to aid in the safe return of lost items, the practice can inadvertently expose travelers to various security risks and threats to their privacy.

When luggage tags are affixed to visible parts of the luggage, they make sensitive personal information easily accessible to prying eyes. This includes not only fellow travelers and airline staff but also potential thieves and identity thieves who may be lurking in airports, train stations, or other transit hubs.

Security Vulnerabilities

== Next to the page, the page also holds calculated crystals ==
********
# 1
# LiMnPO4

A relaxed LiMnPO4 crystal (PBE with a Hubbard U, the Materials Project database).

Results
As for the formation enthalpy at 0 K: -2.54 eV/atom.

abc: 7.6302 4.9802 18.8973
angles: 90.00 91.24 90.00
With the nearest neighbours (Å) after each atom.
Space group P2_1/c (No. 14)
Unique sites:
Li1 0.0023 0.1707 0.1818 (multiplicity 4)  3 O 1.97-2.13
Li2 0.4759 0.2412 0.0885 (multiplicity 4)  1 O 1.97
Mn1 0.1733 0.7227 0.5194 (multiplicity 4)  4 O 2.07-2.12
Mn2 0.3244 0.2289 0.2732 (multiplicity 4)  4 O 2.06-2.12
P1 0.2501 0.2296 0.9357 (multiplicity 4)  4 O 1.55-1.57
P2 0.2515 0.6759 0.1837 (multiplicity 4)  4 O 1.54-1.56
O1 0.0589 0.1135 0.9304 (multiplicity 4)  1 P 1.57
O2 0.0971 0.5290 0.2203 (multiplicity 4)  1 P 1.56
O3 0.2310 0.5137 0.6888 (multiplicity 4)  1 P 1.56
O4 0.2536 0.5419 0.9322 (multiplicity 4)  1 P 1.56
O5 0.2767 0.5790 0.1070 (multiplicity 4)  1 P 1.54
O6 0.3294 0.1265 0.0070 (multiplicity 4)  1 P 1.55
O7 0.3522 0.1085 0.8733 (multiplicity 4)  1 P 1.55
O8 0.4186 0.5867 0.2271 (multiplicity 4)  1 P 1.56

# 2
# LiMnPO4

A relaxed LiMnPO4 crystal (PBE with a Hubbard U, the Materials Project database).

Results
As for the formation enthalpy at 0 K: -2.56 eV/atom.

abc: 5.9812 10.2922 10.0973
angles: 90.00 93.56 90.00
With the nearest neighbours (Å) after each atom.
Space group P2_1/c (No. 14)
Unique sites:
Li1 0.1286 0.0923 0.2199 (multiplicity 4)  2 O 1.88-1.90
Li2 0.3581 0.6018 0.5222 (multiplicity 4)  4 O 1.95-2.12
Mn1 0.1264 0.6453 0.8585 (multiplicity 4)  7 O 2.22-2.45
Mn2 0.3786 0.1692 0.6320 (multiplicity 4)  6 O 2.17-2.34
P1 0.1252 0.1457 0.9025 (multiplicity 4)  4 O 1.52-1.57
P2 0.3700 0.6081 0.1531 (multiplicity 4)  4 O 1.56-1.58
O1 0.0964 0.5712 0.6333 (multiplicity 4)  1 P 1.55
O2 0.0988 0.2313 0.0286 (multiplicity 4)  1 P 1.56
O3 0.1516 0.2346 0.7783 (multiplicity 4)  1 P 1.57
O4 0.1592 0.5183 0.1362 (multiplicity 4)  1 P 1.56
O5 0.3322 0.0602 0.9231 (multiplicity 4)  1 P 1.52
O6 0.3612 0.7015 0.2744 (multiplicity 4)  1 P 1.56
O7 0.3797 0.6923 0.0230 (multiplicity 4)  1 P 1.58
O8 0.4197 0.0174 0.3324 (multiplicity 4)  1 P 1.57

Number 1: energy -7.096 eV/atom. Number 2: energy -7.109 eV/atom.

* * * * *

Entry 1:
VASP calculation (PBE) on an optimized crystal structure of TmMgAg2.

## Properties
energy of formation from the pure elements: -0.3075 eV per atom
space group: Fm-3m

Lattice parameters (Å, degrees): 4.913 4.913 4.913 60.00 60.00 60.00
Atoms (fractional coordinates):
Tm1 0.000 0.000 0.000
Mg1 0.500 0.500 0.500
Ag1 0.750 0.750 0.750
Ag2 0.250 0.250 0.250


Entry 2:
VASP calculation (PBE) on an optimized crystal structure of Tb2Ni7.

## Properties
energy of formation from the pure elements: -0.3875 eV per atom
space group: R-3m
ΔE to the lowest computed polymorph: 0.000 eV/atom

Lattice parameters (Å, degrees): 12.331 12.331 12.331 23.06 23.06 23.06
Atoms (fractional coordinates):
Tb1 0.949 0.949 0.949
Tb2 0.051 0.051 0.051
Tb3 0.852 0.852 0.852
Tb4 0.148 0.148 0.148
Ni1 0.390 0.890 0.390
********
== The calculated crystals stop here ==

When travelers affix visible luggage tags to their bags, they unknowingly open themselves up to potential security risks and vulnerabilities. These tags, while intended to aid in luggage identification and retrieval, can inadvertently serve as beacons for malicious individuals seeking to exploit travelers’ personal information and belongings.

The presence of visible luggage tags makes it significantly easier for opportunistic thieves or nefarious individuals to target specific bags for theft or tampering. By simply glancing at the personal information displayed on the tags, perpetrators can identify lucrative targets and devise strategies to compromise the security of the luggage.

Risk of Identity Theft

When travelers expose personal information through luggage tags, they inadvertently heighten the risk of falling victim to identity theft. The information displayed on luggage tags, including names, addresses, and contact details, serves as valuable fodder for malicious individuals seeking to exploit vulnerabilities in security systems and perpetrate fraudulent activities.

Identity theft poses a significant threat to travelers, as thieves can leverage the information obtained from luggage tags to impersonate individuals and carry out fraudulent transactions. With access to personal details gleaned from luggage tags, perpetrators may fabricate false identities, open lines of credit, or make unauthorized purchases, all of which can have devastating financial and legal repercussions for the victim.

Loss of Privacy

When travelers choose to display personal details on luggage tags, they unwittingly surrender a portion of their privacy and open themselves up to potential invasions of privacy. The act of affixing visible luggage tags, which often contain personal information such as names, addresses, and contact details, creates a vulnerability that can be exploited by various parties for their own purposes.

One consequence of this disclosure is the heightened risk of receiving unwanted solicitations and targeted marketing efforts. Once personal information becomes publicly accessible through visible luggage tags, it can easily find its way into databases used by marketers, advertisers, and other entities seeking to reach potential customers. As a result, travelers may find themselves inundated with unsolicited emails, phone calls, or direct mail campaigns, infringing upon their right to privacy and autonomy.

Mitigating the Risks

While the dangers associated with luggage tags indeed raise concerns, travelers have the opportunity to adopt proactive measures to mitigate these risks and ensure the protection of their personal information and belongings. By implementing thoughtful strategies and embracing modern solutions, travelers can navigate the complexities of travel with greater confidence and security.

Use Discreet Luggage Tags

Consider opting for luggage tags that incorporate additional security features designed to conceal personal information or provide a privacy flap, effectively shielding sensitive details from public view. By choosing tags with these enhanced privacy measures, travelers can mitigate the risk of personal information exposure while still ensuring ease of luggage identification.

These specially designed luggage tags offer a practical solution to the inherent security concerns associated with traditional tags. By concealing personal information behind a privacy flap or within a secure compartment, these tags prevent unauthorized access to sensitive details, thereby reducing the risk of identity theft, fraud, or other privacy breaches.

Utilize Alternative Identification Methods

When contemplating luggage identification methods, travelers should explore alternative options beyond traditional luggage tags. One such alternative is to utilize distinctive luggage straps or colorful ribbons, which offer the same benefits of facilitating luggage identification without compromising privacy or security. These alternative identifiers serve as practical solutions to address concerns related to personal information exposure and enhance the overall security of travel belongings.

Distinctive luggage straps or colorful ribbons offer a creative and effective means of distinguishing luggage among a sea of similar bags. By opting for these identifiers, travelers can easily spot their luggage on airport carousels or in crowded transit areas without the need to display personal information prominently. This approach not only enhances privacy but also reduces the risk of identity theft or unauthorized access to sensitive details.

Remove Luggage Tags After Travel

Upon arriving at your destination, it is advisable to promptly remove luggage tags from your bags to minimize the prolonged exposure of personal information. By taking this proactive step, travelers can reduce the risk of potential identity theft or privacy breaches during their journey and beyond. Once removed, it is essential to handle luggage tags with care and dispose of them responsibly to ensure the continued protection of personal information.

Storing luggage tags securely after removal is crucial to prevent unauthorized access to sensitive details. Travelers should consider keeping tags in a designated travel document organizer, wallet, or secure compartment within their luggage until they can safely dispose of them. By keeping tags out of sight and inaccessible to prying eyes, travelers can mitigate the risk of personal information exposure while maintaining organizational efficiency during their trip.

Secure Luggage Through Other Means

When prioritizing luggage security, travelers should concentrate on implementing comprehensive measures that go beyond the mere presence of luggage tags. By focusing on enhancing luggage security through a variety of protective measures, including sturdy locks, tamper-evident seals, and other deterrents, travelers can effectively deter unauthorized access and tampering, regardless of whether luggage tags are present.

Sturdy locks serve as a foundational element of luggage security, providing a physical barrier against unauthorized access to the contents of the bag. Opting for high-quality locks with robust construction and tamper-resistant features can significantly enhance the overall security of luggage. Combination locks or TSA-approved locks, which allow airport security personnel to inspect the contents of the bag without damaging the lock, offer practical solutions for travelers seeking to strike a balance between security and convenience.

While attaching luggage tags may appear to be a straightforward and practical approach to assist in identifying luggage, travelers must acknowledge the potential risks associated with their utilization. By comprehending the hazards presented by visible luggage tags and implementing proactive measures to alleviate these risks, travelers can protect their personal information, preserve their privacy, and guarantee a secure travel journey. In an era marked by heightened apprehensions regarding privacy and identity theft, exercising vigilance and discretion in luggage identification are indispensable for every discerning traveler.